### Entries
=====
1.
2 unconnected molecules or ions with the total composition C32H36BF2NO2S, computed with ωB97M-V/def2-TZVPD.

Positions of all 75 atoms, in Å:
H1 1.65097 0.05301 -1.18242
C1 -0.71112 2.53743 5.28989
H2 -1.46623 2.48351 6.08637
O1 0.30872 -0.17391 3.80701
C2 -5.05271 -0.85027 0.22347
O2 -0.04063 2.03839 3.13360
C3 -3.72837 -0.40141 -0.26067
H3 1.13694 -3.67593 -6.24547
H4 -1.07607 -1.45194 5.69698
C4 1.34559 -0.79834 1.25319
C5 0.55933 0.03315 -4.55689
C6 0.68059 -2.28648 -3.77732
C7 -1.54665 -0.31108 -1.50527
C8 1.09156 -2.09107 0.78261
H5 2.64808 -3.41374 -5.33607
H6 0.08481 -2.32340 0.42001
H7 -2.36704 3.28510 3.26852
H8 2.48239 0.17541 -6.53248
H9 -3.02339 -0.59160 3.88998
F1 4.33299 -3.67411 1.35920
H10 -5.33516 -1.75735 -0.33040
H11 -5.01759 -1.09531 1.29703
C9 2.58452 -0.52958 1.86969
H12 0.39585 3.19495 1.46229
H13 -5.80676 -0.07215 0.05177
C10 -1.15494 -0.35703 5.69355
H14 4.54360 -1.26087 2.40024
F2 3.07590 4.26737 -2.00092
C11 2.36900 3.35034 -1.25832
H15 0.81612 0.80406 -5.28251
H16 0.25509 2.18507 5.67316
C12 -0.18160 0.36060 -3.44426
S1 -2.55543 -1.54363 -0.78016
C13 -3.26834 0.90341 -0.44463
C14 2.01955 -3.02412 -6.15000
C15 -2.03364 0.95152 -1.15174
C16 0.40073 0.37002 1.13697
H17 2.76607 0.46851 2.27441
H18 2.53988 -1.19032 -7.68685
H19 -1.50342 1.86356 -1.40639
C17 0.97225 -1.30531 -4.76469
H20 -2.50906 1.75817 2.40633
C18 -1.11164 1.72176 4.06011
H21 -2.08848 -0.33647 2.39499
C19 3.59353 -1.47826 1.91832
C20 -2.01983 -0.65574 3.44248
C21 1.66845 1.10139 -0.88568
H22 -3.81515 1.78784 -0.11409
H23 -0.63085 0.12612 0.85782
H24 1.00432 -3.31894 -3.93904
H25 -1.71832 -1.71252 3.43520
C22 3.32797 -2.73051 1.35613
H26 -0.38815 0.04239 6.36605
H27 1.94009 -4.04499 0.34584
H28 2.93289 1.69020 -2.54304
C23 2.38211 2.01229 -1.66050
C24 1.67099 3.78757 -0.13903
C25 0.99452 1.47176 0.29481
H29 -3.27494 1.94209 4.01360
C26 -0.09256 -1.95532 -2.68655
B1 0.56263 0.83834 2.88885
C27 -2.39755 2.19910 3.40666
C28 -1.01793 0.14411 4.27035
H30 -0.46371 1.39884 -3.27798
C29 0.95989 2.84598 0.60736
H31 -2.14965 -0.10508 6.08533
H32 1.00803 -0.31698 -7.41451
H33 -0.58640 3.58946 4.99603
C30 -0.57261 -0.63381 -2.50995
H34 2.57774 -3.03818 -7.08999
N1 1.62918 -1.65427 -5.90002
C31 2.10821 -3.05849 0.77733
H35 -0.33705 -2.72169 -1.94928
H36 1.69386 4.84400 0.14610
C32 1.92803 -0.68665 -6.93252

## Properties
Electronic energy ... -2069.0171 Eh
ΔE to the lowest compared entry with this formula, charge and spin ... 7.3 kcal/mol
HOMO energy ... -6.876 eV
Frontier orbital gap ... 7.40 eV
Total charge ... 0
SMILES ... CC1(C)OB(C(c2ccc(F)cc2)c2ccc(F)cc2)OC1(C)C.Cc1ccc(-c2ccc(N(C)C)cc2)s1

=====

2.
2 unconnected molecules or ions with the total composition C32H36BF2NO2S, computed with ωB97M-V/def2-TZVPD.

Positions of all 75 atoms, in Å:
C1 0.93425 0.73608 -0.89495
H1 -1.27528 -3.03106 4.97612
H2 -2.72184 -1.46153 3.57843
C2 -3.30338 1.87483 -1.04162
H3 -1.80606 0.32625 -0.77088
H4 0.37782 -2.36603 4.90904
H5 0.39921 0.47454 3.87185
H6 3.07863 0.76233 4.22686
H7 4.15833 0.79005 2.82016
H8 -3.05514 -2.08868 -3.53037
C3 -1.04287 -1.67512 0.64592
H9 -0.89060 1.45328 3.14270
C4 -2.00975 -2.85351 -5.68913
O1 0.58142 3.34783 2.08751
H10 -3.12115 -1.49599 -1.13777
H11 -0.50182 0.80230 -2.54397
S1 0.27769 -2.19463 1.70674
C5 -1.95732 -1.60247 2.81572
C6 -1.08901 -3.01696 -3.42305
H12 0.78996 -3.97350 -2.90251
H13 0.85241 -3.11739 -0.60330
C7 2.91175 -0.62530 -1.35696
C8 -2.03949 1.39088 -0.69815
C9 -2.21999 -1.94796 -1.55540
H14 3.86629 -1.02647 -1.01333
C10 0.83073 3.07913 4.48605
H15 -4.64650 3.54772 -1.26804
H16 2.55173 0.02503 2.69224
H17 -2.08246 -1.76182 -5.80920
C11 3.47474 3.30978 3.27746
H18 4.46117 3.21666 2.80502
H19 3.08756 -1.39285 -3.39904
H20 3.07118 4.30989 3.06645
C12 -1.08006 -2.13230 -0.72444
H21 0.28072 0.63299 2.10383
H22 -0.23616 3.11061 4.72487
H23 -2.98251 -3.23186 -5.35644
C13 1.02655 2.44658 3.13110
H24 0.13719 -3.82678 -6.41810
C14 2.48883 -0.84604 -2.67457
H25 0.01121 -3.92749 4.15178
C15 0.43805 0.39974 -2.17186
=====

### Activity
Restate the lines earlier on verbatim.

### Here it is
1.
2 unconnected molecules or ions with the total composition C32H36BF2NO2S, computed with ωB97M-V/def2-TZVPD.

Positions of all 75 atoms, in Å:
H1 1.65097 0.05301 -1.18242
C1 -0.71112 2.53743 5.28989
H2 -1.46623 2.48351 6.08637
O1 0.30872 -0.17391 3.80701
C2 -5.05271 -0.85027 0.22347
O2 -0.04063 2.03839 3.13360
C3 -3.72837 -0.40141 -0.26067
H3 1.13694 -3.67593 -6.24547
H4 -1.07607 -1.45194 5.69698
C4 1.34559 -0.79834 1.25319
C5 0.55933 0.03315 -4.55689
C6 0.68059 -2.28648 -3.77732
C7 -1.54665 -0.31108 -1.50527
C8 1.09156 -2.09107 0.78261
H5 2.64808 -3.41374 -5.33607
H6 0.08481 -2.32340 0.42001
H7 -2.36704 3.28510 3.26852
H8 2.48239 0.17541 -6.53248
H9 -3.02339 -0.59160 3.88998
F1 4.33299 -3.67411 1.35920
H10 -5.33516 -1.75735 -0.33040
H11 -5.01759 -1.09531 1.29703
C9 2.58452 -0.52958 1.86969
H12 0.39585 3.19495 1.46229
H13 -5.80676 -0.07215 0.05177
C10 -1.15494 -0.35703 5.69355
H14 4.54360 -1.26087 2.40024
F2 3.07590 4.26737 -2.00092
C11 2.36900 3.35034 -1.25832
H15 0.81612 0.80406 -5.28251
H16 0.25509 2.18507 5.67316
C12 -0.18160 0.36060 -3.44426
S1 -2.55543 -1.54363 -0.78016
C13 -3.26834 0.90341 -0.44463
C14 2.01955 -3.02412 -6.15000
C15 -2.03364 0.95152 -1.15174
C16 0.40073 0.37002 1.13697
H17 2.76607 0.46851 2.27441
H18 2.53988 -1.19032 -7.68685
H19 -1.50342 1.86356 -1.40639
C17 0.97225 -1.30531 -4.76469
H20 -2.50906 1.75817 2.40633
C18 -1.11164 1.72176 4.06011
H21 -2.08848 -0.33647 2.39499
C19 3.59353 -1.47826 1.91832
C20 -2.01983 -0.65574 3.44248
C21 1.66845 1.10139 -0.88568
H22 -3.81515 1.78784 -0.11409
H23 -0.63085 0.12612 0.85782
H24 1.00432 -3.31894 -3.93904
H25 -1.71832 -1.71252 3.43520
C22 3.32797 -2.73051 1.35613
H26 -0.38815 0.04239 6.36605
H27 1.94009 -4.04499 0.34584
H28 2.93289 1.69020 -2.54304
C23 2.38211 2.01229 -1.66050
C24 1.67099 3.78757 -0.13903
C25 0.99452 1.47176 0.29481
H29 -3.27494 1.94209 4.01360
C26 -0.09256 -1.95532 -2.68655
B1 0.56263 0.83834 2.88885
C27 -2.39755 2.19910 3.40666
C28 -1.01793 0.14411 4.27035
H30 -0.46371 1.39884 -3.27798
C29 0.95989 2.84598 0.60736
H31 -2.14965 -0.10508 6.08533
H32 1.00803 -0.31698 -7.41451
H33 -0.58640 3.58946 4.99603
C30 -0.57261 -0.63381 -2.50995
H34 2.57774 -3.03818 -7.08999
N1 1.62918 -1.65427 -5.90002
C31 2.10821 -3.05849 0.77733
H35 -0.33705 -2.72169 -1.94928
H36 1.69386 4.84400 0.14610
C32 1.92803 -0.68665 -6.93252

## Properties
Electronic energy ... -2069.0171 Eh
ΔE to the lowest compared entry with this formula, charge and spin ... 7.3 kcal/mol
HOMO energy ... -6.876 eV
Frontier orbital gap ... 7.40 eV
Total charge ... 0
SMILES ... CC1(C)OB(C(c2ccc(F)cc2)c2ccc(F)cc2)OC1(C)C.Cc1ccc(-c2ccc(N(C)C)cc2)s1

=====

2.
2 unconnected molecules or ions with the total composition C32H36BF2NO2S, computed with ωB97M-V/def2-TZVPD.

Positions of all 75 atoms, in Å:
C1 0.93425 0.73608 -0.89495
H1 -1.27528 -3.03106 4.97612
H2 -2.72184 -1.46153 3.57843
C2 -3.30338 1.87483 -1.04162
H3 -1.80606 0.32625 -0.77088
H4 0.37782 -2.36603 4.90904
H5 0.39921 0.47454 3.87185
H6 3.07863 0.76233 4.22686
H7 4.15833 0.79005 2.82016
H8 -3.05514 -2.08868 -3.53037
C3 -1.04287 -1.67512 0.64592
H9 -0.89060 1.45328 3.14270
C4 -2.00975 -2.85351 -5.68913
O1 0.58142 3.34783 2.08751
H10 -3.12115 -1.49599 -1.13777
H11 -0.50182 0.80230 -2.54397
S1 0.27769 -2.19463 1.70674
C5 -1.95732 -1.60247 2.81572
C6 -1.08901 -3.01696 -3.42305
H12 0.78996 -3.97350 -2.90251
H13 0.85241 -3.11739 -0.60330
C7 2.91175 -0.62530 -1.35696
C8 -2.03949 1.39088 -0.69815
C9 -2.21999 -1.94796 -1.55540
H14 3.86629 -1.02647 -1.01333
C10 0.83073 3.07913 4.48605
H15 -4.64650 3.54772 -1.26804
H16 2.55173 0.02503 2.69224
H17 -2.08246 -1.76182 -5.80920
C11 3.47474 3.30978 3.27746
H18 4.46117 3.21666 2.80502
H19 3.08756 -1.39285 -3.39904
H20 3.07118 4.30989 3.06645
C12 -1.08006 -2.13230 -0.72444
H21 0.28072 0.63299 2.10383
H22 -0.23616 3.11061 4.72487
H23 -2.98251 -3.23186 -5.35644
C13 1.02655 2.44658 3.13110
H24 0.13719 -3.82678 -6.41810
C14 2.48883 -0.84604 -2.67457
H25 0.01121 -3.92749 4.15178
C15 0.43805 0.39974 -2.17186